Essex Cavy Society 24.2.19
Jugde Janet Saynor
Sugar Top Mountain White and Gold 5/8 Teddy Sow
1st out of 5 Teddy Bi Ag Bi 5/8
1st out of 18 TEDDY CHALL AA
1st out of 21 NON SELF CHALL AV 5/8
3rd out of 50 NON SELF CHALL AV AA
2nd out of 44 BEST SOW AA
3rd out of 30 GRAND CHALL 5/8
Carlow Cinn Ag and White 5/8 Teddy Sow
3rd out of 5 teddy Bi Ag Bi 5/8
Limrick Teddy Tri Agouti 5/8 Sow
1st out of 4 Teddy tri Ag tri 5/8
Oak Island u5 Teddy sow
1st out of 3 Teddy Bi Ag Bi u5
2nd out of 18 TEDDY CHALL AA
1st out of 7 NON SELF CHALL AV u5
3rd out of 44 BEST SOW AA
1st out of 12 GRAND CHALL U5
Kent Cavy Club 31.3.19
Judge Peter Gammie
Sugar Top Mountain Adult Teddy sow
1st in class Bi Coloured AD
Limrick TRi AG AD Teddy sow
2nd out of 2 TRi Teddy AD
Carlow Ag BI 5.8 Teddy Sow
2nd out of 4 TEDDY ag bi/bi 5/8
Oak Island bi 5/8 teddy sow
3rd out of 4 teddy ag/bi 5/8
Aspen ag tri u5 teddy sow
2nd out of 3 teddy tri ag tri u5
Teddy CC
Judge Penny Bell
Sugar Top Mountain Ad Bi Teddy Sow
1st in class Bi colour Ted Ad S
1st out of 5 Bi Ag BI AA
1st out of 6 CHALL BI Ag BI AA
2nd out of 10 best sow AA
2nd ou of 21 RESERVE BIS
Limrick Tri ag AD Teddy sow
1st out of 2 Tri Ag TRI AA
2nd out of 7 CHALL tri Ag TRI AA
Carlow Bi Ag 5.8 teddy sow
2nd out of 3 BI Ag Bi 5/8 sow
Epsom Cavy Show 28.4.19
Judge Barbara Glue
Sugar Top Mountain Ad Gold White Teddy
2nd out of 4 Teddy Bi Ad
2nd out of 4 CHALL Teddy AD B/S
Carlow Cinn Ag White Teddy 5/8
3rd out of 4 Teddy Ag/mix 5/8
3rd out of 5 CHALL teddy 5/8 B/S
Judge Ian Reynolds
Ellie-May u5 Swiss
1st in class Swiss u5
1st out of 7 CHALL G/S u5
1st out of 14 G/S CHALL AV AA
Best G/S Overall
Tendering 100 Show 13.7.19
Judge Derek Pike
SugarTop Mountain Ad Teddy Sow
2nd out of 5 Ad Teddy Sows
Aspen Ag Tri Teddy Ad Sow
3rd out of 5 teddy Ad Sow
TEDDY 5/8 sow
2nd out of 4 5/8 Sow
U5 Swiss Sow
1st out of 4 G/S
1st of of 6 G/S AA
Real london side
Judge J Fort
SugerTop Mountain Ad Teddy Bi Sow
1st out of 2 Teddy bi Ad
Aspen Teddy Ag tri Sow
1st out of 8 Teddy tri /ag Tri
Judge Peter Wright From Australia
Barbados Tort and White Teddy Boar 5/8
1st out of 9 Tri/Ag Tri B/S
2nd out of 63 CHALL COATED 5/8
Judge K Dudding
Winnipeg Tort and White Teddy u5 Sow
1st out of 7 Teddy Tri/Ag Tri u5
## Data records that have nothing to do with the piece
........
[1]
13
Properties=species:S:1:pos:R:3:forces:R:3:nbo_charge:R:1 method="wB97M-V/def2-TZVPD" total_charge=0 gap_ev=9.34 e_lumo_ev=0.48
C -1.93575 1.89357 0.84050 0.827 -0.005 -0.298 -0.73
S -0.12296 1.77693 0.63188 -0.186 0.233 -0.001 0.07
S 0.49624 0.95718 2.39938 -0.060 -0.051 -0.077 -0.12
H -2.37530 0.95512 0.53475 -0.306 -0.158 0.274 0.22
H -2.26300 2.67561 0.17127 -0.108 0.234 -0.242 0.23
H -2.14131 2.19543 1.85441 -0.238 -0.155 0.277 0.23
H 0.32857 -0.33216 2.06832 0.031 -0.085 0.087 0.12
C 1.52538 -2.16026 -1.30018 -0.356 0.469 -0.725 -0.72
S 1.36917 -0.59447 -2.23444 0.194 -0.026 -0.104 -0.07
H 2.54979 -2.47771 -1.43804 0.214 -0.045 0.350 0.22
H 1.25367 -1.98590 -0.26720 0.211 -0.193 0.143 0.22
H 0.88639 -2.90033 -1.76764 -0.170 -0.150 0.201 0.21
H 0.42912 -0.00299 -1.49302 -0.055 -0.067 0.115 0.13

***

[2]
13
Properties=species:S:1:pos:R:3:forces:R:3:nbo_charge:R:1 method="wB97M-V/def2-TZVPD" spin_multiplicity=2 total_charge=+1 gap_ev="9.99 / 4.03" e_lumo_ev="-4.02 / -8.87"
C -2.40566 1.98920 0.36873 0.291 -0.274 -0.246 -0.72
S -2.75393 0.09693 0.49486 0.785 1.612 0.034 0.37
H -2.22208 2.45389 1.39322 -0.293 -1.021 -1.262 0.27
H -1.48011 2.09652 -0.28757 -1.473 0.000 0.871 0.25
H -3.33874 2.44973 -0.08363 1.216 -0.609 0.417 0.27
H -1.88532 -0.33416 -0.45496 -0.324 0.318 0.015 0.14
C 1.46190 -1.62169 -1.49298 0.847 2.924 -0.205 -0.76
S 0.79514 -0.84901 -0.01521 1.665 -0.071 0.499 0.30
S 2.44872 0.44519 0.29600 -0.597 -1.693 1.710 0.01
H 1.33331 -0.92634 -2.30503 0.056 0.691 -0.379 0.24
H 0.90389 -2.39128 -1.80274 -2.243 -3.323 -0.575 0.24
H 2.50536 -1.86764 -1.51985 0.496 -0.137 0.846 0.27
H 2.00720 1.22438 -0.60428 -0.425 1.583 -1.725 0.12

***

[3]
17
Properties=species:S:1:pos:R:3:forces:R:3:nbo_charge:R:1 method="wB97M-V/def2-TZVPD" total_charge=0 gap_ev="8.82 / 8.82" e_lumo_ev="-0.67 / -0.67"
B -1.49046 -0.12924 0.34687 -0.683 -2.793 0.622 0.93
B 1.64442 0.19821 -0.00548 1.432 -0.213 -0.983 1.12
C -2.97796 0.10902 -0.15220 1.903 0.039 1.206 -0.94
C 3.04526 -0.01937 0.73294 -3.416 -3.364 1.020 -0.98
N -0.59921 0.88637 0.24548 0.564 6.127 -2.546 -0.46
O -0.98645 -1.34666 0.91352 -0.332 1.074 -0.365 -0.90
O 1.37886 -0.43368 -1.19751 0.642 -0.303 0.251 -0.88
O 0.75709 1.08256 0.54699 -2.007 -0.490 0.407 -0.54
H -3.24200 1.13309 -0.10430 -0.415 1.095 0.560 0.23
H -3.60273 -0.50740 0.42885 -1.237 -0.612 0.547 0.22
H -3.06274 -0.10283 -1.16303 -0.200 -0.941 -2.043 0.24
H 3.03254 0.39295 1.72337 -0.059 -0.052 0.634 0.24
H 3.92750 0.23698 0.31161 2.600 1.029 -1.852 0.23
H 3.07047 -1.21155 0.78418 0.102 2.294 0.336 0.22
H -1.27700 2.23310 -0.62337 2.070 -3.688 2.344 0.29
H -1.61673 -2.02342 1.18126 -0.082 0.373 -0.257 0.49
H 2.16392 -0.96609 -1.44678 -0.881 0.427 0.121 0.49

***

[4]
16
Properties=species:S:1:pos:R:3:forces:R:3:nbo_charge:R:1 method="wB97M-V/def2-TZVPD" total_charge=0 gap_ev="8.69 / 7.73" e_lumo_ev="0.26 / -0.11"
B -0.48533 0.19876 1.32736 0.476 -1.013 2.869 1.00
C 1.06630 -0.79924 -1.09329 -0.757 1.526 0.072 -0.50
........
## Here the piece continues
Teddy CC
Judge Ian Reynolds
SugerTop Mountain Ad Bi Teddy Sow
1st out of 2 Bi Teddy AD Sow
1st out of 9 Bi AA Sow
1st out of 13 bi AA B/S
1st out of 29 BEST SOW AA
1st out of 55 AA B/S BEST IN SHOW
Aspen Ag tri AD Sow
3rd out of 5 Tr Ag AD sow
Barbados tort and White Teddy 5/8 Boar
1st out of 4 TRI 5/8 Boar
1st out of 10 Tri AA Boar
2nd out of 24 Tri B/S AA
2nd out of 26 RESERVE BEST BOAR
Winnipeg tort and white u5 Sow
1st out of 4 Tri u5 Sow
2nd out of 14 tri AA sow
3rd out of 24 tri B/S AA
Essex Cavy Society 29.9.19
Judge G Godfrey
Sugarloaf Mountain Ad Teddy Sow
1st out of 3 teddy bi AD
1st out of 23 TEDDY CHALL AA
2nd out of 21 NON SELF CHALL AV AD
2nd out of 25 GRAND CHALL AD
Aspen ag tri AD Teddy Sow
1st out of 4 teddy tri/ag AD
3rd out of 23 TEDDY CHALL AA
Barbados tri Teddy Boar 5/8
1st out of 2 teddy tri 5/8
3rd out of 23 non self chall AV 5/8
Winnipeg tri Teddy u5 Sow
1st out of 5 tri teddy u5
2nd out of 23 TEDDY CHALL AA
2nd out of 17 NON SELF CHALL AV u5
2nd out of 23 GRAND CHALL u5
Judge Julie Gallagher
Jasmin Ad Swiss Sow
1 in class swiss Ad
1st out of 2 G/S CHALL AD
1st out of 17 G/S CHALL AA